What to do:
Next, reproduce only the lines underneath with the word "no" in them.
Source:
+++
# 1
The following is a DFT calculation (GGA-PBE) of an optimized crystal structure of Rb2GaOs2.

The value obtained for the energy above the lowest structure with this stoichiometry is 0.0 meV per atom. As for the total DFT energy (no corrections): -4.638 eV per atom. As for the energy of formation: 0.85 eV/atom.

It has space group P4/mbm (No. 127), with a = 6.440 Å, b = 6.440 Å, c = 6.031 Å, α = 90.00°, β = 90.00° and γ = 90.00°. The inequivalent atoms are Rb at (0.180, 0.320, 0.000), Ga at (0.000, 0.000, 0.500) and Os at (0.128, 0.628, 0.500).


# 2
The following is a DFT calculation (GGA-PBE) of an optimized crystal structure of RbGa3Os.

The value obtained for the energy above the lowest structure with this stoichiometry is 2545.9 meV per atom. As for the total DFT energy (no corrections): -1.923 eV per atom. As for the energy of formation: 2.33 eV/atom.

It has space group Pm-3m (No. 221), with a = 5.566 Å, b = 5.566 Å, c = 5.566 Å, α = 90.00°, β = 90.00° and γ = 90.00°. The inequivalent atoms are Rb at (0.000, 0.000, 0.000), Ga at (0.000, 0.000, 0.500) and Os at (0.500, 0.500, 0.500).


# 3
The following is a DFT calculation (GGA-PBE) of an optimized crystal structure of RbGa3Os.

The value obtained for the energy above the lowest structure with this stoichiometry is 554.7 meV per atom. As for the total DFT energy (no corrections): -3.914 eV per atom. As for the energy of formation: 0.34 eV/atom.

It has space group Amm2 (No. 38), with a = 3.199 Å, b = 6.340 Å, c = 17.350 Å, α = 90.00°, β = 90.00° and γ = 90.00°. The inequivalent atoms are Rb at (0.000, 0.000, 0.000), Ga at (0.000, 0.200, 0.181), Ga at (0.500, 0.000, 0.813) and Os at (0.500, 0.000, 0.677).


# 4
The following is a DFT calculation (GGA-PBE) of an optimized crystal structure of RbGa3Os.

The value obtained for the energy above the lowest structure with this stoichiometry is 126.0 meV per atom. As for the total DFT energy (no corrections): -4.343 eV per atom. As for the energy of formation: -0.09 eV/atom.

It has space group C2/m (No. 12), with a = 13.142 Å, b = 6.730 Å, c = 5.072 Å, α = 90.00°, β = 95.64° and γ = 90.00°. The inequivalent atoms are Rb at (0.145, 0.000, 0.493), Ga at (0.000, 0.206, 0.000), Ga at (0.092, 0.500, 0.414), Ga at (0.250, 0.250, 0.000) and Os at (0.115, 0.500, 0.922).


# 5
The following is a DFT calculation (GGA-PBE) of an optimized crystal structure of RbGa3Os.

The value obtained for the energy above the lowest structure with this stoichiometry is 247.4 meV per atom. As for the total DFT energy (no corrections): -4.221 eV per atom. As for the energy of formation: 0.03 eV/atom.

It has space group P2_1/c (No. 14), with a = 9.731 Å, b = 6.653 Å, c = 9.224 Å, α = 90.00°, β = 116.33° and γ = 90.00°. The inequivalent atoms are Rb at (0.085, 0.250, 0.045), Ga at (0.266, 0.600, 0.370), Ga at (0.348, 0.529, 0.927), Ga at (0.476, 0.119, 0.208) and Os at (0.452, 0.190, 0.924).


# 6
The following is a DFT calculation (GGA-PBE) of an optimized crystal structure of RbGa3Os.

The value obtained for the energy above the lowest structure with this stoichiometry is 424.4 meV per atom. As for the total DFT energy (no corrections): -4.044 eV per atom. As for the energy of formation: 0.21 eV/atom.

It has space group C2/c (No. 15), with a = 13.899 Å, b = 10.249 Å, c = 6.684 Å, α = 90.00°, β = 109.79° and γ = 90.00°. The inequivalent atoms are Rb at (0.000, 0.001, 0.250), Rb at (0.000, 0.308, 0.250), Ga at (0.149, 0.500, 0.124), Ga at (0.200, 0.144, 0.064), Ga at (0.203, 0.179, 0.633) and Os at (0.093, 0.332, 0.832).


# 7
The following is a DFT calculation (GGA-PBE) of an optimized crystal structure of RbGa3Os.

The value obtained for the energy above the lowest structure with this stoichiometry is 187.2 meV per atom. As for the total DFT energy (no corrections): -4.282 eV per atom. As for the energy of formation: -0.03 eV/atom.
+++
Here it is:
The value obtained for the energy above the lowest structure with this stoichiometry is 0.0 meV per atom. As for the total DFT energy (no corrections): -4.638 eV per atom. As for the energy of formation: 0.85 eV/atom.
The value obtained for the energy above the lowest structure with this stoichiometry is 2545.9 meV per atom. As for the total DFT energy (no corrections): -1.923 eV per atom. As for the energy of formation: 2.33 eV/atom.
The value obtained for the energy above the lowest structure with this stoichiometry is 554.7 meV per atom. As for the total DFT energy (no corrections): -3.914 eV per atom. As for the energy of formation: 0.34 eV/atom.
The value obtained for the energy above the lowest structure with this stoichiometry is 126.0 meV per atom. As for the total DFT energy (no corrections): -4.343 eV per atom. As for the energy of formation: -0.09 eV/atom.
The value obtained for the energy above the lowest structure with this stoichiometry is 247.4 meV per atom. As for the total DFT energy (no corrections): -4.221 eV per atom. As for the energy of formation: 0.03 eV/atom.
The value obtained for the energy above the lowest structure with this stoichiometry is 424.4 meV per atom. As for the total DFT energy (no corrections): -4.044 eV per atom. As for the energy of formation: 0.21 eV/atom.
The value obtained for the energy above the lowest structure with this stoichiometry is 187.2 meV per atom. As for the total DFT energy (no corrections): -4.282 eV per atom. As for the energy of formation: -0.03 eV/atom.